Reviewed by Caryl Lynn Segal, Department of Criminology and Criminal Justice, University of Texas at Arlington. Email: csegal [at] uta.edu.
This excellent eleven-article volume discusses penal policies in the Netherlands, Belgium, England, Canada, Scandinavia, France, and Japan, and it should appeal to political scientists. Michael Tonry’s opening article, followed by Jean-Paul Brodeur’s piece on comparative penology, establish high standards for the authors that follow. Nearly all the contributors rise to the occasion.
There are cultural and political reasons that account for a nation’s being more or less likely to adopt punitive policies. The actual effect of a media blitz differs dramatically because of the political structure and whether the nation has a coalition-type government. Multiple studies and authors have equated moral panics to media.
Jean-Paul Brodeur states that the media focus on a specific criminal act through the constant replay of pictures and sounds leads to legislation that is now the greatest pathology that threatens policy making. Research that does not support policy makers’ objectives is largely ignored, he says. “Punishment is the one policy that is never discredited by its failure to achieve its stated objectives. If it fails to meet its goals, the only reason is that there is not enough of it” (pp. 80-81). That severity may, in fact, be one reason a goal is not reached is not considered, according to Brodeur. The expectation that rising crime rates would translate into more punitive policies does not always occur and depends on country-specific characteristics and consensus political systems.
David Downes’ article on the “Visions of Penal Control in the Netherlands” does a first-rate job of succinctly explaining, not only penal policy, but the evolution and reasons for its changes and current status. The Dutch do not believe in long prison sentences except under special circumstances. They strongly believe in humane conditions during incarceration with the aim of rehabilitation.
By comparison, Sonja Snacken’s “Penal Policy and Practice in Belgium” evolves after an interesting beginning into an overabundance of statistical data that are not meaningfully woven into the reasons for or the historical background of the policy. A unique feature of the Belgium system is the requirement that police must report all incidents to the prosecutor, who has the discretion to move forward with an investigation. “Penal mediation” is a recent Belgium development which allows prosecution to be dropped if the victim and offender reach an agreement on compensation. In spite of some excellent information provided, this too long and repetitive [*96] chapter detracts from the value of the volume.
Victim’s rights are mentioned in nearly every article, and there appears to be a connection between the rise of victims’ becoming a factor in the judicial process and the swing from rehabilitative goals to revenge and deterrence in some nations.
A significantly stronger contribution by Tapio Lappi-Seppälä is filled with historical and contemporary reasons for the changes in penal systems and sentencing goals. Lappi-Seppälä points out that penal severity appears “closely associated with public sentiments (fears, levels of trust, and punitiveness), the extent of welfare provision, differences in income equality, political structure, and legal cultures” (p.219). Although the article is an explanation of Scandinavian policy, these factors can easily be applied to explain penal policy in other countries as well.
What makes Scandinavian countries unique is that inequalities in income and distribution of wealth and power are not tolerated; this is accomplished by the close relationship between employers, employees, and the political system. The Nordic countries also have a relatively corruption-free history. In Scandinavia the belief is that imprisonment should be avoided whenever possible, and punishment should be moderate, restrained, proportionate and respectful of human rights.
What stands out immediately is that low imprisonment rates do not equal spiraling crime rates or high recidivism rates. Long-term sentences are generally restricted to terrorist acts, drug running, and sexual abuse cases. Finland abandoned its “drug-free society” drug control goal in the 1990s as unrealistic. Drug control has tightened in the past two decades, and drug offenses account for the increased Scandinavian penal population. Sex offenses also have stiffer penalties than in the past.
Between two parts of the text: data records.
~~~
AcBe2H6: optimized geometry, PBE-GGA.

Lattice parameters (Å, degrees): 6.055 6.536 4.767 90.00 113.03 90.00
Space group C2/m (No. 12)
Inequivalent atoms, fractional coordinates:
Ac 0.000 0.000 0.000
Be 0.050 0.500 0.275
H 0.098 0.325 0.790
H 0.198 0.000 0.601

Output
raw total energy = -67.494 eV for the cell shown

---

Tb6PmPr2Y3: optimized geometry, PBE-GGA.

Lattice parameters (Å, degrees): 6.236 10.797 11.917 90.00 100.01 90.00
Space group C2/m (No. 12)
Inequivalent atoms, fractional coordinates:
Tb 0.248 0.000 0.247
Tb 0.249 0.333 0.247
Pm 0.000 0.000 0.500
Pr 0.000 0.333 0.500
Y 0.000 0.167 0.000
Y 0.000 0.500 0.000

Output
ΔE_f = 0.0174 eV/atom
raw total energy = -122.550 eV for the cell shown

---

Nd8Ru3SBr4: optimized geometry, PBE-GGA.

Lattice parameters (Å, degrees): 8.2965 8.2965 23.2483 90.00 90.00 120.00
Space group R-3m (No. 166, hexagonal axes)
Inequivalent atoms, fractional coordinates:
Nd 0.0000 0.0000 0.2340
Nd 0.0132 0.5066 0.7688
Ru 0.0000 0.5000 0.5000
S 0.0000 0.0000 0.5000
Br 0.0000 0.0000 0.0000
Br 0.0000 0.5000 0.0000

Output
raw total energy = -277.599 eV for the cell shown
raw formation energy = -15.7 eV per formula unit

~~~~~

(1)
# PBE Ba5InS6, relaxed
# ΔE_f (raw) = -1.73 eV per atom
# volume = 773.6 Å³/cell
# theoretical density = 4.266 Mg/m³
# DOS(E_F) = 0.53 states/eV per atom
data_Ba5InS6
_space_group_name_H-M_alt 'C 1 2/m 1'
_space_group_IT_number 12
_cell_length_a 7.7956
_cell_length_b 13.5055
_cell_length_c 7.7913
_cell_angle_alpha 90.00
_cell_angle_beta 109.42
_cell_angle_gamma 90.00
loop_
_space_group_symop_operation_xyz
'x,y,z'
'-x,-y,-z'
'-x,y,-z'
'x,-y,z'
'x+1/2,y+1/2,z'
'-x+1/2,-y+1/2,-z'
'-x+1/2,y+1/2,-z'
'x+1/2,-y+1/2,z'
loop_
_atom_site_label
_atom_site_type_symbol
_atom_site_fract_x
_atom_site_fract_y
_atom_site_fract_z
_atom_site_occupancy
Ba1 Ba 0.0000 0.0000 0.0000 1
Ba2 Ba 0.0000 0.1671 0.5000 1
Ba3 Ba 0.0000 0.3348 0.0000 1
In1 In 0.0000 0.5000 0.5000 1
S1 S 0.2417 0.5000 0.2564 1
S2 S 0.2437 0.3384 0.7453 1

***

(2)
# PBE Ba2InSbS5, relaxed
# ΔE_f (raw) = -1.21 eV per atom
# volume = 1002.0 Å³/cell
# theoretical density = 4.452 Mg/m³
data_Ba2InSbS5
_space_group_name_H-M_alt 'C m c 21'
_space_group_IT_number 36
_cell_length_a 4.1853
_cell_length_b 18.5470
_cell_length_c 12.9076
_cell_angle_alpha 90.00
_cell_angle_beta 90.00
_cell_angle_gamma 90.00
loop_
_space_group_symop_operation_xyz
'x,y,z'
'-x,-y,z+1/2'
'-x,y,z'
'x,-y,z+1/2'
'x+1/2,y+1/2,z'
'-x+1/2,-y+1/2,z+1/2'
'-x+1/2,y+1/2,z'
'x+1/2,-y+1/2,z+1/2'
loop_
_atom_site_label
_atom_site_type_symbol
_atom_site_fract_x
_atom_site_fract_y
_atom_site_fract_z
_atom_site_occupancy
Ba1 Ba 0.0000 0.1129 0.0000 1
Ba2 Ba 0.0000 0.1305 0.6214 1
In1 In 0.0000 0.4408 0.7609 1
Sb1 Sb 0.0000 0.2180 0.3357 1
S1 S 0.0000 0.0437 0.3681 1
S2 S 0.0000 0.2830 0.9733 1
S3 S 0.0000 0.3135 0.6843 1
S4 S 0.0000 0.3517 0.3138 1
S5 S 0.0000 0.4966 0.0935 1

~~~~~

No. 1
SrUMo4O16: optimized geometry, PBE with a Hubbard U.

```
SrUMo4O16
1.0
-5.146 -3.972 2.131
~~~
Lappi-Seppälä states that “a system in which the legislature sets policy only in broad terms, leaving the concrete level of sanctions to the discretion of independent judges, is less vulnerable to short-sighted and ill-founded political interventions.”
While the high English and American imprisonment rates are mentioned by all the writers who indicate that Anglo-Saxon communities are currently disinclined toward rehabilitative penal goals, Green alone, in the final essay, attributes them to the politicization of crime. Studies reveal that higher imprisonment rates are associated with lower levels of welfare spending, lower levels of trust in fellow citizens, and lower public perceptions of the legitimacy of the legal system.
Canada had high imprisonment rates in the past, but in the late 1980s a Sentencing Commission reduced maximums and eliminated minimum sentences. The result is a very stable Canadian imprisonment rate. The Canadian historical and cultural underpinnings, which cause its penal policy to differ sharply from both the United States and England, are clearly and concisely explained by Webster and Doob in the 6th article.
David Johnson’s essay on “Crime and Punishment in Contemporary Japan” is [*97] one of the best this volume has to offer. Japan has been heralded as the safest country among developed democracies, but Johnson reveals that, while homicide rates are the lowest in the world, Japanese citizens have a high sense of insecurity. He carefully examines Japanese history and the role that crime and gangs have played.
The door to understanding the current fear of crime and its resultant emphasis on law and order lies in a rarely noticed demographic: the birth rate is at a record low, and life expectancy is the longest in the world. Needing population stability, many foreign workers were admitted; although still quite low, the “total number of legally registered foreigners living in Japan increased more than 50% in the past 15 years.” When you start with a small population, it takes very little change to reach a high percentage: in 1990 there were 46 death sentences, and in 2006, 79 were condemned, representing a 70% increase in 16 years, involving only 33 additional homicides. In response to the fears expressed by the public, albeit unsubstantiated, political leaders and elites have used and exploited public insecurity to create a more punitive system with longer imprisonment terms.
VASP calculation (PBE) on crystalline RbTh2AgTe5 at its relaxed geometry.

```
RbTh2AgTe5
1.0
-5.181 -6.993 -1.039
6.595 -4.317 -3.834
1.699 2.777 9.815
Rb Th Ag Te
2 4 2 10
direct
0.250 0.250 0.500
0.750 0.750 0.500
0.158 0.342 0.000
0.658 0.158 0.000
0.342 0.842 0.000
0.842 0.658 0.000
0.250 0.750 0.500
0.750 0.250 0.500
0.974 0.474 0.240
0.734 0.234 0.760
0.026 0.526 0.760
0.234 0.026 0.760
0.526 0.734 0.760
0.766 0.974 0.240
0.474 0.266 0.240
0.266 0.766 0.240
0.500 0.500 0.000
0.000 0.000 0.000
```

## Properties
* total moment: 0.00 μB per formula unit
* E_form (uncorrected): -9.06 eV per formula unit


VASP calculation (PBE) on crystalline Cs2AcBO4 at its relaxed geometry.

```
Cs2AcBO4
1.0
5.587 0.000 0.000
2.793 5.942 0.000
2.793 0.000 13.039
Cs Ac B O
4 2 2 8
direct
0.183 0.000 0.634
0.817 0.000 0.366
0.567 0.500 0.866
0.933 0.500 0.134
0.750 0.500 0.500
0.000 0.000 0.000
0.250 0.500 0.500
0.500 0.000 0.000
0.390 0.845 0.067
0.302 0.155 0.933
0.765 0.845 0.933
0.543 0.155 0.067
0.360 0.655 0.433
0.448 0.345 0.567
0.985 0.655 0.567
0.207 0.345 0.433
```

## Properties
* total moment: 0.00 μB per formula unit
* E_form (uncorrected): -15.50 eV per formula unit


VASP calculation (PBE) on crystalline Zn2AgHg2 at its relaxed geometry.

```
Zn2AgHg2
1.0
-0.033 -0.640 -4.100
3.437 -2.302 0.331
-1.830 -6.624 -1.051
Zn Hg Ag
2 2 1
direct
0.406 0.406 0.189
0.594 0.594 0.811
0.750 0.250 0.500
0.250 0.750 0.500
0.000 0.000 0.000
```

## Properties
* energy of formation from the pure elements: 0.257 eV/atom
* total moment: 0.00 μB per formula unit
* distance to the lowest polymorph of the same formula: 141 meV per atom


VASP calculation (PBE) on crystalline ScTcOs2 at its relaxed geometry.

```
ScTcOs2
1.0
4.899 -0.006 0.000
1.764 4.570 0.000
-3.331 -2.282 2.773
Os Sc Tc
2 1 1
direct
0.000 0.000 0.000
0.250 0.750 0.500
0.500 0.500 0.000
0.750 0.250 0.500
```

## Properties
* energy of formation from the pure elements: 0.111 eV/atom
* total moment: 0.00 μB per formula unit
* distance to the lowest polymorph of the same formula: 178 meV per atom

----------

#w
BeAsAu2 | GGA-PBE | optimized geometry

Calculated values
SG: No. 119
calculated density: 12.094 g/cm³

Lattice parameters (Å, degrees): 5.0369 5.0369 5.0369 133.73 133.73 67.52
Closest atoms and distances in Å follow each position.
Sites, in units of the cell vectors:
Au: 0.2500 0.7500 0.5000  4 As 2.80, 4 Au 2.88, 4 Be 2.88
Au: 0.0000 0.0000 0.0000  4 Be 2.80, 4 Au 2.88, 4 As 2.88
Be: 0.5000 0.5000 0.0000  8 Au 2.80-2.88, 4 As 2.88
As: 0.7500 0.2500 0.5000  8 Au 2.80-2.88, 4 Be 2.88

---

#x
BeAsAu2 | GGA-PBE | optimized geometry

Calculated values
SG: No. 160
calculated density: 12.258 g/cm³

Lattice parameters (Å, degrees): 8.5484 8.5484 8.5484 20.13 20.13 20.13
Closest atoms and distances in Å follow each position.
Sites, in units of the cell vectors:
Au: 0.2351 0.2351 0.2351  3 Be 2.43
Au: 0.9995 0.9994 0.9994  9 Au 2.99-3.00, 3 As 3.02
As: 0.7649 0.7649 0.7649  3 Be 2.45
England has also seen a turn towards a more punitive justice system. Political scientists will find value in Tim Newburn’s article looking at the politics of England and Wales and the changes that have occurred. The murder of two-year-old James Bulger by 10-year-olds created moral panic, and in reaction both political parties urged tougher approaches to crime and passed legislation with elements that would be considered unconstitutional in the US: loss of the right to silence, and the inferences from invoking it. Fines lost sanction credibility, and today custody is the sanction of choice for most offenses in England and Wales.
Sebastian Roche’s article explains why French laws appear to have become harsher, but the prison population has risen only slightly. France makes use of diversionary programs, informal procedures, and grants widespread pardons and amnesty. Roche provides good information and explanations of the French system but tends to get bogged down with statistical charts. He provides a basis for understanding why juveniles in particular are often spared prison in France.
René Lévy discusses pardons and amnesties as instruments of policy in contemporary France, thus expanding on the information presented by Roche. Levy explains that pardons and amnesty are routinely used to reduce prison overcrowding, and Bastille Day is celebrated by pardons of entire categories of offenders. Amnesty, erasing imposed sentences, is granted by legislation, and pardons are granted by the executive branch, but are really suspended sentences because of the conditions attached. Political scientists should find this chapter exceptionally useful.
In the concluding article, David Green masterfully compares two cases of child-on-child homicides, one in England and the other in Norway. With its revelations about the media’s role in creating a political climate demanding punitive change, this article is probably one of the best for political scientists. The Norwegian press’ attention to the [*98] killing lasted about two weeks and included multiple discussions by child care experts and psychologists related to reintegrating the offenders. No politicians weighed in with government fault-finding or demands for tougher laws.
Britain’s print media, considered the most competitive in the world, created a moral panic and led to new legislation. Scandinavian newspapers are less sensationalist and less competitive. Norway has a high per capita newspaper readership which is mostly subscription based. Green also shows how the majoritarian and consensus governments differ and the effect they have on media. The political-cultural differences of the two countries provided by Green contribute to the article’s value for political scientists.
The Crime and Justice series has added another very worthy volume to the collection.
© Copyright 2008 by the author, Caryl Lynn Segal.